Start at the top of the calculation results further down and write out each line, ending with the one that has "0.39843 -0.505".

____________
The following is a quantum chemistry calculation of a single C3H4O3S molecule in a non-equilibrium geometry, from the Open Molecules 2025 dataset.

Calculated values
Kohn-Sham gap (alpha / beta)   8.9612 / 8.9596 eV
LUMO (alpha / beta)   0.0006 / 0.0005 hartree
Relative energy (zero: lowest compared OMol25 entry of this formula, charge and spin)   142.0 kcal/mol
Strongest force on any atom   4.009 eV/A
E_tot   -740.4332 Ha

The geometry in XYZ format:
```
11
Properties=species:S:1:pos:R:3:mulliken_charge:R:1
C -0.43226 0.82551 -0.52713 -0.559
C -0.88221 0.20200 0.70609 0.024
C 1.79847 -0.47463 0.00597 0.200
O 1.52746 -0.00804 1.09733 -0.477
O -1.38157 -0.92707 0.77207 0.015
O -1.60634 -1.56353 -0.38846 -0.537
S 0.77137 -0.34018 -1.37838 0.003
H -1.38342 0.86939 -1.26025 0.305
H -0.10256 1.81099 -0.35492 0.390
H -0.98267 0.71451 1.66444 0.346
H 2.67373 -1.10896 -0.33677 0.289
```

The following is a quantum chemistry calculation of 3 unconnected molecules or ions with the total composition CH4O2 in a non-equilibrium geometry, from the Open Molecules 2025 dataset.

Calculated values
Kohn-Sham gap   10.3472 eV
LUMO   0.0029 hartree
Relative energy (zero: lowest compared OMol25 entry of this formula, charge and spin)   76.8 kcal/mol
Strongest force on any atom   6.251 eV/A
E_tot   -190.8281 Ha

The geometry in XYZ format:
```
7
Properties=species:S:1:pos:R:3:mulliken_charge:R:1
C -1.02978 0.11919 -0.27262 -0.100
O 1.13124 -0.35228 -0.03481 -0.669
O -0.54631 1.19223 -0.46695 -0.435
H -1.01119 -0.50979 -1.17184 0.234
H -1.27362 -0.09859 0.77214 0.271
H 2.03518 -0.88153 0.90418 0.329
H 0.69449 0.53077 0.26988 0.371
```

The following is a quantum chemistry calculation of a gas-phase ion, C4H8NOS (charge -1) in a non-equilibrium geometry, from the Open Molecules 2025 dataset.

Calculated values
Kohn-Sham gap   6.2563 eV
Total charge   -1
SMILES string   C[C@@H](C[S-])NC=O
LUMO   0.1346 hartree
Relative energy (zero: lowest compared OMol25 entry of this formula, charge and spin)   55.8 kcal/mol
Strongest force on any atom   7.605 eV/A
E_tot   -685.3671 Ha

The geometry in XYZ format:
```
15
Properties=species:S:1:pos:R:3:mulliken_charge:R:1
O -1.53436 3.30305 0.40509 -0.623
C -0.99562 2.25921 -0.16531 0.053
N -0.74669 0.94898 0.33270 -0.301
C 0.30398 -0.00580 0.17940 0.553
C -0.32764 -1.26581 -0.44923 -0.972
S 0.98266 -2.33416 -0.99236 -0.656
C 0.99782 -0.30442 1.45912 -1.269
H -0.51098 2.18769 -1.13631 0.363
H -0.75271 1.24910 1.34676 0.164
H 1.17403 0.37143 -0.50443 0.187
H -0.96957 -0.92293 -1.27020 0.302
H -0.95532 -1.76034 0.26405 0.270
H 0.31915 -0.29694 2.49236 0.228
H 1.78370 -1.08750 1.43090 0.353
H 1.81959 0.43971 1.54103 0.347
```

The following is a quantum chemistry calculation of 2 unconnected molecules or ions with the total composition C3H8BrN in a non-equilibrium geometry, from the Open Molecules 2025 dataset.

Calculated values
Kohn-Sham gap   10.4549 eV
SMILES string   C/C=N/C.Br
LUMO   0.0347 hartree
Relative energy (zero: lowest compared OMol25 entry of this formula, charge and spin)   12.2 kcal/mol
Strongest force on any atom   2.908 eV/A
E_tot   -2747.8117 Ha

The geometry in XYZ format:
```
13
Properties=species:S:1:pos:R:3:mulliken_charge:R:1
C 0.89118 -1.56019 0.07252 -0.735
C -1.02968 1.69373 0.03256 -0.964
C 0.45183 -0.14835 -0.30155 0.014
N -0.46536 0.38954 0.39843 -0.505
Br -3.18223 -1.62464 -0.29965 -0.241
H 1.43849 -1.32470 0.92441 0.253
H -0.00135 -2.13161 0.31840 0.227
H 1.47843 -2.10101 -0.78794 0.258
H -1.48731 2.11608 0.94302 0.228
H -0.23210 2.35795 -0.11676 0.410
H -1.50709 1.45808 -0.95437 0.443
H -2.66466 -0.26231 -0.35827 0.195
H 0.81397 0.18138 -1.24429 0.416
```

The following is a quantum chemistry calculation of a single C3H6O molecule in a non-equilibrium geometry, from the Open Molecules 2025 dataset.

Calculated values
Kohn-Sham gap   10.8917 eV
SMILES string   OC1CC1
LUMO   0.0370 hartree
____________

The following is a quantum chemistry calculation of a single C3H4O3S molecule in a non-equilibrium geometry, from the Open Molecules 2025 dataset.

Calculated values
Kohn-Sham gap (alpha / beta)   8.9612 / 8.9596 eV
LUMO (alpha / beta)   0.0006 / 0.0005 hartree
Relative energy (zero: lowest compared OMol25 entry of this formula, charge and spin)   142.0 kcal/mol
Strongest force on any atom   4.009 eV/A
E_tot   -740.4332 Ha

The geometry in XYZ format:
```
11
Properties=species:S:1:pos:R:3:mulliken_charge:R:1
C -0.43226 0.82551 -0.52713 -0.559
C -0.88221 0.20200 0.70609 0.024
C 1.79847 -0.47463 0.00597 0.200
O 1.52746 -0.00804 1.09733 -0.477
O -1.38157 -0.92707 0.77207 0.015
O -1.60634 -1.56353 -0.38846 -0.537
S 0.77137 -0.34018 -1.37838 0.003
H -1.38342 0.86939 -1.26025 0.305
H -0.10256 1.81099 -0.35492 0.390
H -0.98267 0.71451 1.66444 0.346
H 2.67373 -1.10896 -0.33677 0.289
```

The following is a quantum chemistry calculation of 3 unconnected molecules or ions with the total composition CH4O2 in a non-equilibrium geometry, from the Open Molecules 2025 dataset.

Calculated values
Kohn-Sham gap   10.3472 eV
LUMO   0.0029 hartree
Relative energy (zero: lowest compared OMol25 entry of this formula, charge and spin)   76.8 kcal/mol
Strongest force on any atom   6.251 eV/A
E_tot   -190.8281 Ha

The geometry in XYZ format:
```
7
Properties=species:S:1:pos:R:3:mulliken_charge:R:1
C -1.02978 0.11919 -0.27262 -0.100
O 1.13124 -0.35228 -0.03481 -0.669
O -0.54631 1.19223 -0.46695 -0.435
H -1.01119 -0.50979 -1.17184 0.234
H -1.27362 -0.09859 0.77214 0.271
H 2.03518 -0.88153 0.90418 0.329
H 0.69449 0.53077 0.26988 0.371
```

The following is a quantum chemistry calculation of a gas-phase ion, C4H8NOS (charge -1) in a non-equilibrium geometry, from the Open Molecules 2025 dataset.

Calculated values
Kohn-Sham gap   6.2563 eV
Total charge   -1
SMILES string   C[C@@H](C[S-])NC=O
LUMO   0.1346 hartree
Relative energy (zero: lowest compared OMol25 entry of this formula, charge and spin)   55.8 kcal/mol
Strongest force on any atom   7.605 eV/A
E_tot   -685.3671 Ha

The geometry in XYZ format:
```
15
Properties=species:S:1:pos:R:3:mulliken_charge:R:1
O -1.53436 3.30305 0.40509 -0.623
C -0.99562 2.25921 -0.16531 0.053
N -0.74669 0.94898 0.33270 -0.301
C 0.30398 -0.00580 0.17940 0.553
C -0.32764 -1.26581 -0.44923 -0.972
S 0.98266 -2.33416 -0.99236 -0.656
C 0.99782 -0.30442 1.45912 -1.269
H -0.51098 2.18769 -1.13631 0.363
H -0.75271 1.24910 1.34676 0.164
H 1.17403 0.37143 -0.50443 0.187
H -0.96957 -0.92293 -1.27020 0.302
H -0.95532 -1.76034 0.26405 0.270
H 0.31915 -0.29694 2.49236 0.228
H 1.78370 -1.08750 1.43090 0.353
H 1.81959 0.43971 1.54103 0.347
```

The following is a quantum chemistry calculation of 2 unconnected molecules or ions with the total composition C3H8BrN in a non-equilibrium geometry, from the Open Molecules 2025 dataset.

Calculated values
Kohn-Sham gap   10.4549 eV
SMILES string   C/C=N/C.Br
LUMO   0.0347 hartree
Relative energy (zero: lowest compared OMol25 entry of this formula, charge and spin)   12.2 kcal/mol
Strongest force on any atom   2.908 eV/A
E_tot   -2747.8117 Ha

The geometry in XYZ format:
```
13
Properties=species:S:1:pos:R:3:mulliken_charge:R:1
C 0.89118 -1.56019 0.07252 -0.735
C -1.02968 1.69373 0.03256 -0.964
C 0.45183 -0.14835 -0.30155 0.014
N -0.46536 0.38954 0.39843 -0.505